
Wednesday, September 18, 2013

Tea Time Thursday #23~Tasha Tudor Day August 2013

Tasha Tudor Day is a day that Tasha's fans remember her and celebrate her life. It is August 28th which was her birthday. When Jim and I decided to go to Montana for our vacation, I thought it would be fun to be with LaVonne on Tasha Tudor Day! It has always been my dream to spend the day with her in Montana on her farm. At first I had the date wrong, but we were able to readjust our trip dates.

The funny thing was that LaVonne had the date wrong when we were there! I guess we were just having way too much fun and she just was off a day.

-- Someone pasted records of crystals at this point --
********
{"formula": "CrFeOs", "functional": "meta-GGA SCAN", "state": "single point on PBEsol structure", "dft_energy_ev_per_atom": -35.541, "space_group": "F-43m", "e_above_lowest_polymorph_mev_per_atom": 463, "lattice": [[3.8647, 0.0000, 0.0000], [1.9324, 3.3470, 0.0000], [1.9324, 1.1157, 3.1555]], "species": ["Fe", "Cr", "Os"], "frac_coords": [[0.2500, 0.2500, 0.2500], [0.5000, 0.5000, 0.5000], [0.0000, 0.0000, 0.0000]]}



{"formula": "CrFeOs", "functional": "meta-GGA SCAN", "state": "single point on PBEsol structure", "dft_energy_ev_per_atom": -35.991, "space_group": "Imm2", "e_above_lowest_polymorph_mev_per_atom": 13, "lattice": [[-0.9729, -2.3469, -0.4333], [2.6400, -0.6615, -2.3449], [1.3282, 0.0848, 4.2234]], "species": ["Cr", "Fe", "Os"], "frac_coords": [[0.0033, 0.0033, 0.0066], [0.6646, 0.6646, 0.3292], [0.3321, 0.3321, 0.6642]]}



{"formula": "CrFe2Os", "functional": "meta-GGA SCAN", "state": "single point on PBEsol structure", "dft_energy_ev_per_atom": -31.512, "space_group": "I4/mmm", "lattice": [[3.5637, 0.0000, 0.0000], [0.0000, 3.5637, 0.0000], [-1.7818, -1.7818, 3.5493]], "species": ["Fe", "Fe", "Os", "Cr"], "frac_coords": [[0.7500, 0.2500, 0.5000], [0.2500, 0.7500, 0.5000], [0.5000, 0.5000, 0.0000], [0.0000, 0.0000, 0.0000]]}



So what do the calculations give for formation energy from the elements? Going down the list: 0.5903, 0.1406, 0.1186 eV/atom.
So what do the calculations give for V? Going down the list: 13.606, 11.841, 11.269 Å³/atom.
So what do the calculations give for spin magnetization? Going down the list: 0.80, 2.06, 2.11 μB per cell.


The following is a DFT calculation (meta-GGA SCAN) of Pd2SeO at its PBEsol-relaxed geometry.

Lattice parameters (Å, degrees): 6.0037 6.0037 6.5967 90.00 90.00 90.00
Space group I-42d (No. 122)
Asymmetric unit:
Pd (0.2086, 0.7500, 0.1250)
Se (0.0000, 0.0000, 0.5000)
O (0.0000, 0.0000, 0.0000)

=====

The following is a DFT calculation (meta-GGA SCAN) of SiPdO2 at its PBEsol-relaxed geometry.

Lattice parameters (Å, degrees): 2.6518 2.6518 26.7737 90.00 90.00 120.00
Space group R-3m (No. 166, hexagonal axes)
Asymmetric unit:
Si (0.0000, 0.0000, 0.0000)
Pd (0.0000, 0.0000, 0.5000)
O (0.0000, 0.0000, 0.3677)

=====

Raw formation energy
In order: -0.0989, -1.7258
Unit: eV per atom
********
-- The entry goes on --

Jim dropped me of at the Stucky farm and LaVonne helped him with the map so he could take off fishing.

After he left, she had to feed the chickens and milk her goats. I went outside with her to watch.

We went into the barn where she feeds the goats and then she told me I was going to milk her goat Tasha. This city girl was a bit surprised, but how could you refuse to milk Tasha the goat on Tasha Tudor day? I'm sorry I didn't have her take a picture of me with Tasha. She had several goats to milk before I got to try. At first I could get anything to happen, but then I got it. The goat was so patient with me.

This is Buddy the goat. He is such a sweetheart. I just fell in love with him. He just stares at you, lovingly. I never knew I would like goats....well, at least I like LaVonne's goats!

She let the sheep out....Big Sky country for sure. What an amazing sight...don't you love the sky and the clouds?

LaVonne went in to change and I just watched the animals. I don't know what happened to me, but I got VERY emotional and the tears just flowed. I think I was just thinking about my past and the rural life that my family once lived. It is all gone now and it just made me sad in a strange way. I felt so connected to the land and the animals. Serenity Farm is just the perfect name for her farm.

Can you see the mama chicken and her babies? I tried and tried to get close and I just couldn't do it. She was so protective. They were so cute.

LaVonne took me out on her front porch and she had planned a tea time lunch for us! It was just all so pretty and just more than I had dreamed. She had sweet blue linens and blue and white dishes. She set a place for Tasha too as she is the reason we ever met.It was so pretty and special.

Smile LaVonne.....

Tasha's place with a cup of fig tea...

Fresh blueberries from Oregon in a crystal glass filled with ginger ale. Delicious and refreshing.

Oh so yummy....Tasha's recipe for custard, made with goat's milk. Fresh fruit,smoked salmon or spinach sandwich, salad with smoked salmon and fig balsamic vinegar. Fresh scones with blood orange marmalade, cookies and chocolate.

I felt like I really wasn't in this world. It was just like a pleasant dream. We had just about finished, when it started to rain, just a gentle rain. Refreshing.

But then it just started to pour rain...bucket of rain and then the wind came up a bit. We took all the dishes inside and the tea party was over!

The rain lifted and I took this picture from her driveway. I think it looks like a photo. Just beautiful.

We spent the rest of the afternoon going over all our Annabelle things. We want to finish up all the accessories that go with the book....all through the alphabet. It was fun to see what we had and what we would need to make or get.

This is the little quilt (as is in the book) with the bedding that I had made for Annabelle of Montana. It was fun to see it again as I had forgotten how I had made everything. I guess I was impressed with what I had created.

We went through all of Annabelle's home and dusted and rearranged everything. It was so fun and the day just slipped away. Do you see what this Montana gal has strapped on her leg? She has quite the gun collection!

(Attached: crystal structures)
- - -
Record 1
5
Lattice="-0.401 2.635 -2.295 1.663 -1.888 -2.458 -6.665 -2.961 -2.235" Properties=species:S:1:pos:R:3 comment="NiBIN2 | Alexandria | PBE | optimized geometry" de_polymorph_ev_per_atom=0.401 m_tot_mub_per_atom=0.04 pbc="T T T"
N -0.200 1.317 -1.147
N 0.831 -0.944 -1.229
Ni 0.000 0.000 0.000
I -3.333 -1.480 -1.118
B -2.702 -1.107 -3.494

---

Record 2
5
Lattice="3.642 0.000 0.000 0.000 3.642 0.000 1.821 1.821 7.225" Properties=species:S:1:pos:R:3 comment="Hg2IrPd2 | Alexandria | PBE | optimized geometry" formation_enthalpy_0k_ev_per_atom=0.571 de_polymorph_ev_per_atom=0.152 m_tot_mub_per_atom=0.00 pbc="T T T"
Hg 1.821 1.821 1.430
Hg 3.642 3.642 5.795
Ir 0.000 0.000 0.000
Pd 3.642 1.821 3.613
Pd 1.821 3.642 3.613

---

Record 3
4
Lattice="0.000 2.945 2.945 2.945 0.000 2.945 2.945 2.945 0.000" Properties=species:S:1:pos:R:3 comment="Re2BSe | Alexandria | PBE | optimized geometry" de_polymorph_ev_per_atom=0.055 m_tot_mub_per_atom=0.00 pbc="T T T"
B 0.000 0.000 0.000
Re 1.473 1.473 1.473
Re 4.418 4.418 4.418
Se 2.945 2.945 2.945

---

Record 4
10
Lattice="-2.089 -1.988 -4.134 -5.730 -3.186 1.355 -6.416 8.356 -3.849" Properties=species:S:1:pos:R:3 comment="K2Tl2Pd | Alexandria | PBE | optimized geometry" formation_enthalpy_0k_ev_per_atom=-0.132 de_polymorph_ev_per_atom=0.000 m_tot_mub_per_atom=0.00 pbc="T T T"
Tl -5.033 3.782 -2.348
Tl -9.203 -0.599 -4.279
Tl -2.212 -0.004 -1.953
Tl -12.023 3.186 -4.674
K -5.548 0.411 -3.539
K -4.936 -1.436 0.112
K -9.299 4.618 -6.739
K -8.687 2.771 -3.088
Pd -8.299 -0.693 -1.618
Pd -5.936 3.875 -5.009

---

Record 5
6
Lattice="-1.354 -1.817 2.070 1.152 -4.314 -3.034 4.762 -2.289 1.106" Properties=species:S:1:pos:R:3 comment="LiAlC | Alexandria | PBE | optimized geometry" formation_enthalpy_0k_ev_per_atom=0.156 m_tot_mub_per_atom=0.00 pbc="T T T"
Al 4.702 -5.034 -1.343
Al 1.469 -1.425 -0.289
C 5.019 -6.904 -0.501
C -0.024 -1.272 1.143
Li 3.032 -3.788 0.934
Li 2.257 -3.694 -1.766

---

Record 6
8
Lattice="-3.527 1.307 3.723 -3.322 -3.657 1.898 3.474 -2.814 8.041" Properties=species:S:1:pos:R:3 comment="YHo2ScTl4 | Alexandria | PBE | optimized geometry" formation_enthalpy_0k_ev_per_atom=-0.313 m_tot_mub_per_atom=0.00 pbc="T T T"
Sc -1.688 -2.582 6.831
Tl 0.440 -3.332 9.109
Tl 1.288 -2.043 5.699
Tl -4.663 -3.121 7.963
Tl -3.815 -1.832 4.552
Ho -2.553 -3.865 10.223
Ho -0.822 -1.299 3.439
Y 0.000 0.000 0.000

---

Record 7
18
Lattice="-2.317 3.406 -6.297 3.414 -6.695 -0.382 -12.991 -6.690 1.160" Properties=species:S:1:pos:R:3 comment="NaPaCuI6 | Alexandria | PBE | optimized geometry" final_energy_ev_per_atom=-3.46 m_tot_mub_per_atom=0.11 pbc="T T T"
I -9.008 -3.099 -1.530
I 0.842 -6.318 -2.400
I -7.549 -6.298 -3.630
I -11.363 -6.732 -5.453
I -4.346 -3.681 -1.888
I -0.978 -3.085 -4.133
I -12.736 -3.660 -3.119
I -2.886 -6.880 -3.988
I -0.531 -3.247 -0.065
I -2.567 -6.792 0.094
I -9.328 -3.187 -5.612
I -10.916 -6.894 -1.385
Cu -10.150 -4.978 -3.455
Cu -1.744 -5.000 -2.063
Pa -3.654 -1.633 -4.035
- - -

When Jim returned from a great day of fly fishing, Chris played his Native American flute for us. It was just beautiful and we were honored that he wanted to play it for us. The perfect ending to a perfect day.

Thank you my friend for all you did to make Tasha Tudor Day so very special. I will never forget the day with you in Montana. It was wonderful in every way.


  1. The more I read and see of Montana the more I feel I absolutely MUST visit one day. It looks like the most beautiful place!!

    Jem xXx

  2. Everything looks so wonderful, sweet Linda! The food had my mouth watering and those animals are too precious. Buddy definitely looks like a sweetheart :) Thanks for sharing with us, friend!

    Love and hugs!

  3. Sounds absolutely lovely! I think that goat was trying to decide which part of you to take a chomp out of first. (I have experience with goats). lol My cousin moved to Montana some years ago. I don't think we could drag her back to Wisconsin.

**These materials data were left in the page by mistake**
- - -
Material: RbEuHgBi
Method: DFT, PBE-GGA
State: optimized geometry

Its size of the total moment is 7.00 μB/f.u. As for the crystal system: cubic. The calculation puts the formation energy at -485 meV per atom.

Cell lengths 8.309, 8.309, 8.309 Å; angles 90.00, 90.00, 90.00 degrees
Space group F-43m (No. 216)
One atom of each set of equivalent atoms:
Rb (0.000, 0.000, 0.000)
Eu (0.000, 0.000, 0.500)
Hg (0.250, 0.250, 0.750)
Bi (0.250, 0.250, 0.250)

~~~~~

Here is a relaxed structure of TaAs3Au from Alexandria via LeMat-Bulk. Energies are from GGA-PBE.

**Magnetic moment**: 0.00 μB per formula unit
**Formation enthalpy at 0 K**: 1.321 eV per atom
**Energy**: -4.495 eV per atom
**Energy relative to the lowest polymorph listed for this composition**: 843 meV/atom

Unit cell a=4.8979 b=4.8979 c=4.8979 alpha=90.00 beta=90.00 gamma=90.00
Positions (direct):
As  0.0000  0.5000  0.0000
As  0.5000  0.0000  0.0000
As  0.0000  0.0000  0.5000
Ta  0.5000  0.5000  0.5000
Au  0.0000  0.0000  0.0000

Here is a relaxed structure of CrCdMo2 from Alexandria via LeMat-Bulk. Energies are from GGA-PBE.

**Magnetic moment**: 0.39 μB per formula unit
**Formation enthalpy at 0 K**: 0.564 eV per atom
**Energy**: -7.486 eV per atom

Unit cell a=4.8572 b=4.8572 c=5.1730 alpha=84.92 beta=84.92 gamma=31.63
Last column: magnetic moment on the atom in μB.
Positions (direct):
Mo  0.7518  0.7518  0.7590  -0.04
Mo  0.9965  0.9965  0.0028  -0.04
Cr  0.2493  0.2493  0.2449  0.46
Cd  0.5023  0.5023  0.4933  0.00

Here is a relaxed structure of LiH8Ir2 from Alexandria via LeMat-Bulk. Energies are from GGA-PBE.

**Magnetic moment**: 0.32 μB per formula unit
**Energy**: -4.107 eV per atom

Unit cell a=3.5253 b=5.7115 c=5.7115 alpha=65.84 beta=71.92 gamma=71.92
Last column: magnetic moment on the atom in μB.
Positions (direct):
Li  0.5000  0.0000  0.0000  0.01
H  0.1538  0.9897  0.7019  0.01
H  0.5000  0.7024  0.2976  0.00
H  0.8462  0.2981  0.0103  0.01
H  0.8620  0.6342  0.6342  0.01
H  0.5000  0.2976  0.7024  0.00
H  0.1380  0.3658  0.3658  0.01
H  0.8462  0.0103  0.2981  0.01
H  0.1538  0.7019  0.9897  0.01
Ir  0.0000  0.7180  0.2820  0.13
Ir  0.0000  0.2820  0.7180  0.13

Here is a relaxed structure of Pr12Sc3Pb5 from Alexandria via LeMat-Bulk. Energies are from GGA-PBE.

**Magnetic moment**: 4.94 μB per formula unit
**Formation enthalpy at 0 K**: 0.344 eV per atom
**Energy**: -4.400 eV per atom

Unit cell a=16.2584 b=16.2584 c=16.2584 alpha=109.47 beta=109.47 gamma=109.47
Last column: magnetic moment on the atom in μB.
Positions (direct):
Pb  0.5000  0.0000  0.0000  -0.03
Pb  0.5000  0.5000  0.0000  -0.03
Pb  0.5000  0.5000  0.5000  -0.03
Pb  0.2500  0.3750  0.6250  -0.03
Pb  0.0000  0.0000  0.5000  -0.03
Pb  0.6250  0.8750  0.2500  -0.03
Pb  0.7500  0.6250  0.3750  -0.03
Pb  0.0000  0.5000  0.5000  -0.03
Pb  0.5000  0.0000  0.5000  -0.03
Pb  0.1250  0.3750  0.2500  -0.03
Pb  0.1250  0.7500  0.3750  -0.03
Pb  0.2500  0.8750  0.1250  -0.03
Pb  0.0000  0.0000  0.0000  -0.03
- - -

  4. Oh Linda, what a great post. Loved it. You had SUCH fun in Montana. Your friend really did a great job.

    Thanks so much for sharing. Susan

  5. Wow - I feel like I've actually been somewhere reading this and the best part was the gun strapped to the dolls leg! I've never been to Montana but this is just as I imagined it to be!

  6. Come on out, ladies! Buddy doesn't want to chomp, he just wants love! He's a love-sponge!
    It feels like it was only a dream. SO MUCH FUN in less than a week!
